Introduction: DIY Arduino| Touch-less IoT Hand Sanitizer Dispenser Using NodeMCU & BLYNK

Next to the text, the page also holds crystal structures.
+++
UCu3Ge2: computed powder diffraction line list (Cu Kα, 1.54184 Å), based on a structure optimized by DFT (GGA-PBE).
No peak broadening, texture or thermal motion is included.

Most intense lines, 2θ = 15–90°, low angle first:
two_theta  intensity
28.5  29.3
29.0  21.4
29.9  34.2
33.9  48.1
36.5  100.0
38.2  19.9
39.7  67.7
45.4  26.2
45.5  43.1
49.2  25.7

```
UCu3Ge2
1.0
7.547 -1.992 0.000
7.547 1.992 0.000
-3.185 0.000 6.510
U Cu Ge
2 6 4
direct
0.145 0.145 0.063
0.855 0.855 0.937
0.043 0.043 0.389
0.310 0.310 0.541
0.402 0.402 0.322
0.598 0.598 0.678
0.690 0.690 0.459
0.957 0.957 0.611
0.200 0.200 0.710
0.479 0.479 0.816
0.521 0.521 0.184
0.800 0.800 0.290
```
+++

Hello folks,

Since the outbreak of COVID-19 hits the world dramatically, the use of hand sanitizers have escalated. Hand sanitizers can help reduce our risk of catching certain infections. Hand sanitisers can also protect against disease-causing microbes, especially in situations when soap and water aren’t available. They’re also proven to be effective in reducing the number and type of microbes.

The mainly cause of COVID-19 spread is when virus-laden droplets from infected person get inhaled by other persons. Recent studies shows that you can get this virus also by touching surfaces or objects contaminated by the infected person and after that touching your face and nose can easily make you a target of it.

This gives me a motivation to make a touch-less IoT based sanitizer Dispenser. This Dispenser have most of the required features. The project is based on cloud platform called BLYNK platform so useful data be can logged about the people sanitizing there hands regularly. So its become a fun to sanitize hands for people to just use some gadget while at the same time doing the precaution measures.

The most Advanced Features in this project are:

  1. Automatic Hand triggered dispenser
  2. Fluid Level Detection (so the dispenser can be refilled)
  3. Log Record of People using Dispenser (Count people)
  4. Make Analysis of data


  1. Bottle
  2. nodeMCU ESP8266
  3. DC water pump 5 volt
  4. Wires
  5. Bread board
  6. Hose water PVC pipe

Step 1: Create Dispenser From Scratch

This project can be made from cheap used components available at your home. So the first step is to get a water bottle that will be used as dispenser tank. For this purpose I am using a plastic water bottle.

Once you have chosen your bottle next you have to get a water Hose pipe mostly used for water level that can be easily available. you can also use medical disposable sterile infusion drip tube. You have to cut it 1/3 time the size of bottle. Next you have to make a whole right at the center of bottle lid. Attach one side of the pipe with the Motor and put it in to the bottle. The other side can be taken out from the bottle lid.

- - -
No. 1
Starting from a cell relaxed with GGA-PBE, the PXRD pattern of Nd3Ga2Si2 was computed for Cu Kα, 1.54184 Å.
Lines closer than 0.1° are merged.

Largest 10 diffraction maxima, low angle first, 10° ≤ 2θ ≤ 90°:
2θ (°)	Rel. int.
26.26	24
31.52	100
40.63	14
41.06	15
44.67	12
49.40	9
55.70	14
59.14	9
62.28	9
68.86	10

```
Nd3Ga2Si2
1.0
-2.029 2.198 9.285
2.029 -2.198 9.285
2.029 2.198 -9.285
Nd Ga Si
3 2 2
Direct
0.000 0.000 0.000
0.186 0.686 0.500
0.814 0.314 0.500
0.434 0.434 0.000
0.566 0.566 0.000
0.356 0.856 0.500
0.644 0.144 0.500
```


No. 2
Starting from a cell relaxed with GGA-PBE, the PXRD pattern of Li2NdYGe2 was computed for Cu Kα, 1.54184 Å.
Lines closer than 0.1° are merged.

Largest 10 diffraction maxima, low angle first, 10° ≤ 2θ ≤ 90°:
2θ (°)	Rel. int.
23.05	32
26.06	36
33.62	100
40.48	47
49.44	8
53.61	26
65.74	21
69.27	24
73.64	8
82.33	9

```
Li2NdYGe2
1.0
4.456 0.000 0.000
-2.228 3.859 0.000
0.000 0.000 7.374
Li Nd Y Ge
2 1 1 2
Direct
0.333 0.667 0.224
0.667 0.333 0.776
0.000 0.000 0.500
0.000 0.000 0.000
0.333 0.667 0.760
0.667 0.333 0.240
```


No. 3
Starting from a cell relaxed with GGA-PBE, the PXRD pattern of LiNb2Te4Cl10O was computed for Cu Kα, 1.54184 Å.
Lines closer than 0.1° are merged.

Largest 10 diffraction maxima, low angle first, 10° ≤ 2θ ≤ 90°:
2θ (°)	Rel. int.
12.94	20
14.35	23
14.75	28
15.43	100
17.78	41
19.36	41
22.71	33
29.75	25
30.38	27
33.79	30

```
LiNb2Te4Cl10O
1.0
7.277 0.000 0.000
1.901 8.699 0.000
0.080 1.241 9.490
Li Nb Te Cl O
1 2 4 10 1
Direct
0.000 0.000 0.000
0.032 0.652 0.044
0.095 0.929 0.314
0.365 0.395 0.506
0.441 0.127 0.691
0.613 0.517 0.649
0.666 0.261 0.848
0.122 0.121 0.471
0.190 0.808 0.871
0.246 0.075 0.129
0.319 0.487 0.111
0.402 0.779 0.386
0.747 0.852 0.961
0.804 0.096 0.225
0.852 0.529 0.203
0.947 0.792 0.489
0.980 0.501 0.861
0.067 0.796 0.175
```


No. 4
Starting from a cell relaxed with GGA-PBE, the PXRD pattern of RbBa2In2 was computed for Cu Kα, 1.54184 Å.
Lines closer than 0.1° are merged.

Largest 10 diffraction maxima, low angle first, 10° ≤ 2θ ≤ 90°:
2θ (°)	Rel. int.
12.07	12
27.19	56
29.28	100
34.60	13
36.77	11
38.39	10
42.30	10
52.63	29
53.18	17
86.05	9

```
RbBa2In2
1.0
10.371 0.000 0.000
0.000 10.371 0.000
0.000 0.000 4.048
Rb Ba In
2 4 4
Direct
0.000 0.000 0.000
0.500 0.500 0.000
0.145 0.355 0.000
0.355 0.855 0.000
0.645 0.145 0.000
0.855 0.645 0.000
0.149 0.649 0.500
0.351 0.149 0.500
0.649 0.851 0.500
0.851 0.351 0.500
```

~~~~~

1.
For CsZnAgC4S4N4, a DFT-relaxed cell (GGA-PBE, the Materials Project) gives the theoretical X-ray diffraction stick pattern in this record (Cu Kα, 1.54184 Å).
Peak positions follow from Bragg's law for the DFT cell and can differ from measured ones.

```
60
Lattice="9.1497 0.0000 0.0000 0.0000 16.8768 0.0000 -7.8254 0.0000 9.1183" Properties=species:S:1:pos:R:3 pbc="T T T"
Cs -0.5155 2.1031 3.2365
Cs -4.4282 6.3353 7.7956
Cs 5.7525 10.5415 1.3227
Cs 1.8398 14.7738 5.8819
Zn -4.3696 0.8858 7.1789
Zn -0.4569 7.5526 2.6198
- - -

The Dispenser structure part is ready.

Step 2: Making Circuit (Put Components on Bread Board)

This is very task you just have to put the components at right place as shown in the schematics.

  • The circuit includes NodeMCU esp8266 the controller of our project.

NodeMCU is an open-source firmware and development kit that helps you to prototype or build IoT products. It includes firmware that runs on the ESP8266 Wi-Fi SoC from Espressif Systems, and hardware which is based on the ESP-12 module. The firmware uses the Lua scripting language. It is based on the eLua project and built on the Espressif Non-OS SDK for ESP8266.There are tons of online tutorials from which you can learn about NodeMCU.

  • The next component is IR sensor which detects the presence of hand

The Infrared Obstacle Avoidance Sensor has a pair of infrared transmitting and receiving sensors. The infrared LED emits Infrared signals at certain frequency and when an obstacle appears on the line of infrared light, it is reflected back by the obstacle which is sensed by the receiver.When the sensor detects an obstacle, the LED indicator lights up, giving a low-level output signal in the OUT pin. The sensor detects distance of 2 - 30cm. The sensor has a potentiometer which can be adjusted to change the detection distance.

  • DC 5v mini water pump

Step 3: Create Blynk Accound and Download Application

you can download the Application from google store. once the application is downloaded scan the QR code provided. The application will be copied to your cell phone. A Authentication code by Blynk will be sent to your email.

Step 4: Upload the Sketch

open the sketch provided in the description and change the following parameters to your own:



Authentication token

Upload the Sketch